Year 8 Bonus Review
Newton's Laws
Projectile Motion
Free Fall
Centripetal Force

The South pole of a magnet will attract the _______ pole of another magnet



What is Newton's second law?

Force = Mass x Acceleration

(The greater the mass, the more force needed to accelerate)


Projectile motion is the motion of an object on a _____________ path due to the effects of gravity.

Curved (or parabolic).

What is the only force acting on an object in free fall?

The moon orbiting the earth is what type of centripetal force?

A. Gravity

B. Tension

C. Friction

D. Normal

A. Gravity


Why do we see fireworks before we hear them?

Light travels faster than sound!


If the amount of force is the same, a greater mass means a ______________ acceleration.

A. Faster

B. Slower

B. Slower acceleration!


Does air resistance increase of decrease the trajectory (path) of an object?



List two reasons why skiing down a very steep hill cannot be considered free fall. 

Other forces besides gravity:

-Air resistance

-Friction (skiis and the snow)


A racecar driving around a circular track is what type of centripetal force?

A. Gravity

B. Tension

C. Friction

D. Normal



What is the equation we use to measure pressure?

Pressure = Force/Area


Which has more inertia:

A. A pencil

B. Your backpack

C. A pro football player

D. A desk

C. A pro football player (the greater the mass, the greater the inertia).

Interia=object remains unchanged, much harder to change the motion of a football player than a pencil.


Projectile motion is caused by what TWO directions of velocity?

Horizontal (forward velocity) and vertical (downwards velocity due to gravity) 

No. 1
For Nd2CoSi2Os, a cell relaxed with GGA-PBE gives the simulated XRD peak list in this record (Cu Kα (weighted mean of Kα1 and Kα2)).
Neutral-atom scattering factors, no anomalous dispersion.

Most intense lines, 5° ≤ 2θ ≤ 70°, by intensity:
| two_theta | I_rel |
| --- | --- |
| 33.4 | 100 |
| 40.2 | 61 |
| 25.1 | 58 |
| 44.3 | 38 |
| 12.4 | 29 |
| 59.7 | 20 |
| 56.6 | 19 |
| 37.9 | 19 |

Structural model:
```
Nd2CoSi2Os
1.0
4.0881 0.0000 0.0000
0.0000 4.0881 0.0000
0.0000 0.0000 7.1136
Nd Co Si Os
2 1 2 1
Cartesian
0.0000 2.0441 1.2704
2.0441 0.0000 5.8432
2.0441 2.0441 3.5568
0.0000 2.0441 4.8014
2.0441 0.0000 2.3122
0.0000 0.0000 3.5568
```

---

No. 2
For NdCo5P3, a cell relaxed with GGA-PBE gives the simulated XRD peak list in this record (Cu Kα (weighted mean of Kα1 and Kα2)).
Neutral-atom scattering factors, no anomalous dispersion.

Most intense lines, 5° ≤ 2θ ≤ 70°, by intensity:
| two_theta | I_rel |
| --- | --- |
| 38.8 | 100 |
| 39.1 | 69 |
| 49.5 | 39 |
| 40.1 | 26 |
| 53.6 | 21 |
| 37.7 | 19 |
| 26.8 | 16 |
| 29.9 | 14 |

Structural model:
```
NdCo5P3
1.0
11.8153 0.0000 0.0000
0.0000 3.6842 0.0000
0.0000 0.0000 10.3733
Nd Co P
4 20 12
Cartesian
2.3894 0.9211 0.8641
3.5183 2.7632 6.0507
8.2970 0.9211 4.3226
9.4259 2.7632 9.5092
0.1214 2.7632 0.9792
0.1181 2.7632 7.4020
0.7953 2.7632 4.8606
2.0740 0.9211 8.0829
2.3273 0.9211 3.9633
3.5804 2.7632 9.1500
3.8337 2.7632 2.8962
5.1123 0.9211 10.0472
5.7896 0.9211 2.2153
5.7863 0.9211 6.1658
6.0290 2.7632 4.2075
6.0257 2.7632 8.1579
6.7030 2.7632 0.3260
7.9816 0.9211 7.4770
8.2349 0.9211 1.2233
9.4880 2.7632 6.4099
9.7413 2.7632 2.2904
11.0200 0.9211 5.5127
11.6972 0.9211 2.9713
11.6939 0.9211 9.3941
1.2682 2.7632 9.2803
1.2983 0.9211 6.0365
1.5334 2.7632 2.8531
4.3742 0.9211 8.0397
4.6093 2.7632 0.8499
4.6395 0.9211 4.0937
7.1758 2.7632 6.2796
7.2060 0.9211 9.5234
7.4411 2.7632 2.3335
10.2819 0.9211 7.5201
10.5170 2.7632 4.3368
10.5471 0.9211 1.0929
```

---

No. 3
For RbNdCoS3, a cell relaxed with GGA-PBE gives the simulated XRD peak list in this record (Cu Kα (weighted mean of Kα1 and Kα2)).
Neutral-atom scattering factors, no anomalous dispersion.

Most intense lines, 5° ≤ 2θ ≤ 70°, by intensity:
| two_theta | I_rel |
| --- | --- |
| 12.0 | 100 |
| 29.8 | 65 |
| 20.3 | 58 |
| 28.2 | 56 |
| 33.2 | 53 |
| 41.5 | 47 |
| 24.2 | 44 |
| 28.6 | 35 |

Structural model:
```
RbNdCoS3
1.0
10.8584 0.0000 0.0000
0.0000 4.0379 0.0000
0.0000 0.0000 14.6963
Rb Nd Co S
4 4 4 12
Cartesian
2.4895 1.0095 0.1532
2.9397 3.0284 7.5014
7.9187 1.0095 7.1949
8.3689 3.0284 14.5430
0.0970 3.0284 3.7788
5.3322 1.0095 11.1269
5.5262 3.0284 3.5693
10.7614 1.0095 10.9174
2.6040 3.0284 11.5170
2.8252 1.0095 4.1688
8.0332 3.0284 10.5274
8.2544 1.0095 3.1793
0.6949 3.0284 12.7249
1.0097 1.0095 5.5086
2.6442 1.0095 10.2279
2.7850 3.0284 2.8797
4.4195 3.0284 12.8567
4.7343 1.0095 5.3768
6.1241 3.0284 9.3195
6.4389 1.0095 1.8396
8.0734 1.0095 11.8165
8.2142 3.0284 4.4684
9.8487 3.0284 9.1877
10.1635 1.0095 1.9714
```


Explain how an open parachute increases air resistance for a falling skydvier.

The parachute increases the surface area, because a higher surface area = more air resistance


If I am swinging a ball on a string, what is the direction of the centripetal force?

Towards the center.


Why does it hurt more to stand on one needle than a bed of needles?

Because the needle has a smaller surface area, and therefore more pressure


Use two of Newton's laws to explain what happens when you hit a padel ball with a racket.

Newton's First Law: The ball was at rest, but the unbalanced force of the racket is now causing it to move, against its inertia

Newton's Third Law: You apply a certain force to the ball, and that same force is applied back into the racket.


Why does a rock falling straight down hit the ground at the same time as one that is launched?

The rocks have the same vertical velocity (change in speed and direction). There is no change in the horizontal velocity of the launched rock.


As an astronaut travels farther from earth, what happens to her weight?

A. Her weight increases because gravity increases

B. Her weight decreases because gravity decreases

C. Her weight stays the same even though gravity changes

B. Her weight decreases because gravity decreases. Remember that WEIGHT has to do with gravity, while mass is just how much space something takes up. The weaker the gravitational pull, the less you will "weigh."


A Rollercoaster going around a loop is what 2 centripetal forces?

A. Gravity

B. Tension

C. Friction

D. Normal

Gravity and Normal


Explain why a firetruck seems louder when it is passing you, than when you hear it from a distance.

The firetruck seems louder because the sound waves are entering your ear at a greater frequency (rate) as you get closer. When it gets farther, less sound waves are reaching your ear. This is known as the Doppler Effect.


Explain how Newton's second law applies to riding a bicycle.

With the same mass, the more force you apply to the pedals, the more you will accelerate (F = M x A)


What is the name for the arrows we use to measure force?


The moon's gravity is weaker than earth's gravity. What will be the difference if we drop a bowling ball and feather on earth vs the moon.

The bowling ball and feather will fall much slower on the moon, since the acceleration due to gravity is slower.


A little girl swinging her cat by its tail is which centripetal fore?

A. Gravity

=====
(1)
Theoretical X-ray diffraction stick pattern of Pr3Nd6Hg for CuKα, from a cell relaxed with GGA-PBE.
Peak positions follow from Bragg's law for the DFT cell and can differ from measured ones.

Cell and atoms:
Cell lengths 10.703, 12.158, 5.381 Å; angles 90.00, 90.00, 90.00 degrees
Space group Pnnm (No. 58)
Unique sites:
Pr 0.000 0.000 0.000 x2
Pr 0.118 0.207 0.500 x4
Nd 0.073 0.745 0.000 x4
Nd 0.170 0.577 0.500 x4
Nd 0.224 0.883 0.500 x4
Hg 0.000 0.500 0.000 x2

Largest 10 diffraction maxima, sorted by position, 2θ from 15° to 90°:
3.235 Å, intensity 23, (0 3 1)
3.099 Å, intensity 100, (1 3 1)
2.973 Å, intensity 81, (3 0 1)
2.888 Å, intensity 69, (3 1 1)
2.690 Å, intensity 69, (0 0 2)
2.643 Å, intensity 43, (2 4 0)
2.569 Å, intensity 39, (1 4 1)
2.449 Å, intensity 18, (4 2 0)
1.885 Å, intensity 34, (2 4 2)
1.602 Å, intensity 21, (3 0 3)

---

(2)
Theoretical X-ray diffraction stick pattern of Pr3NdHg2 for CuKα, from a cell relaxed with GGA-PBE.
Peak positions follow from Bragg's law for the DFT cell and can differ from measured ones.

Cell and atoms:
Cell lengths 5.329, 9.750, 7.221 Å; angles 90.00, 90.00, 90.00 degrees
Space group Pmc2_1 (No. 26)
Unique sites:
Pr 0.000 0.056 0.000 x2
Pr 0.000 0.327 0.341 x2
Pr 0.500 0.174 0.687 x2
Nd 0.500 0.444 0.028 x2
Hg 0.000 0.352 0.784 x2
Hg 0.500 0.149 0.245 x2

Largest 10 diffraction maxima, sorted by position, 2θ from 15° to 90°:
3.220 Å, intensity 26, (1 2 1)
2.989 Å, intensity 25, (1 0 2)
2.901 Å, intensity 28, (0 2 2)
2.858 Å, intensity 100, (1 1 2)
2.775 Å, intensity 91, (1 3 0)
2.664 Å, intensity 60, (2 0 0)
2.200 Å, intensity 23, (1 3 2)
1.962 Å, intensity 19, (2 2 2)
1.573 Å, intensity 17, (3 1 2)
1.559 Å, intensity 16, (3 3 0)

---

(3)
Theoretical X-ray diffraction stick pattern of PrNd3Hg3 for CuKα, from a cell relaxed with GGA-PBE.
Peak positions follow from Bragg's law for the DFT cell and can differ from measured ones.

Cell and atoms:
Cell lengths 10.799, 10.869, 7.382 Å; angles 90.00, 90.00, 90.00 degrees
Space group Cmmm (No. 65)
Unique sites:
Pr 0.242 0.000 0.000 x4
Nd 0.000 0.244 0.500 x4
Nd 0.000 0.247 0.000 x4
Nd 0.243 0.000 0.500 x4
Hg 0.000 0.500 0.253 x4
Hg 0.250 0.250 0.252 x8

Largest 10 diffraction maxima, sorted by position, 2θ from 15° to 90°:
2.717 Å, intensity 27, (0 4 0)
2.700 Å, intensity 26, (4 0 0)
2.658 Å, intensity 100, (2 2 2)
1.915 Å, intensity 19, (4 4 0)
1.846 Å, intensity 10, (0 0 4)
1.557 Å, intensity 20, (2 6 2)
1.550 Å, intensity 19, (6 2 2)
1.527 Å, intensity 10, (0 4 4)
1.524 Å, intensity 9, (4 0 4)
1.329 Å, intensity 12, (4 4 4)

---

(4)
Theoretical X-ray diffraction stick pattern of PrNd2Hg for CuKα, from a cell relaxed with GGA-PBE.
Peak positions follow from Bragg's law for the DFT cell and can differ from measured ones.

Cell and atoms:
Cell lengths 7.891, 7.891, 7.891 Å; angles 90.00, 90.00, 90.00 degrees
Space group Fm-3m (No. 225)
Unique sites:
Pr 0.000 0.000 0.000 x4
Nd 0.250 0.250 0.250 x8
Hg 0.000 0.000 0.500 x4
=====
**The records of crystals stop here:**

B. Tension

C. Friction

D. Normal

B. Tension